Stamps Classification : Malaysia Engineering Stamp
Engineering has been an integral part in the development of many nations. Great strides have been made in the development of Malaysia ever since we gained our independence in 1957.
Closely associated with the nation's progress is The Institute of Engineers Malaysia (IEM) which was established in 1959 with the intention to reflect the independence of Malaysian engineers professionally.
In the last 50 years since its inception, IEM as the prime mover of nation building, have strived to promote sound professional engineering practice amongst its members and enhance sound professional engineering practices amongst its members and enhance society's consciousness of science and technology. The Strategic Plan drafted in 1997 was to steer the Institution towards becoming the premier professional organization that is pivotal to Malaysia achieving Vision 2020.

Ports: Penang Port is the transshipment hub of the Indonesia-Malaysia-Thailand growth triangle. Port Klang has world-class facilities while the nearby Westport is reputed as the "Fastport, Flexiport and Gardenport of south-East Asia.
Air Transportation: Malaysia has 37 airports, five of which are international airports, 15 domestic airports and 17 Short Takeoff and Landing airstrips. The biggest airport, Kuala Lumpur International Airport (KLIA) can handle 25 million passengers per annum and 1.2 million tons of cargo.
Railway: Peninsular Malaysia is served by railway lines which link the country with Thailand and Singapore as well as another line to the east coast state of Kelantan. The modern city of Kuala Lumpur boasts of an electric commuter train, the KTM Komuter, Light Rail Transport (LRT) and Monorail. Meanwhile, the Express Rail links the city to KLIA.
(Data records from another source follow)
~~~
Entry 1:
A 2-piece molecular cluster, C3H9O2 overall at a distorted geometry. Source: the OMol25 dataset; level of theory: the ωB97M-V functional and the def2-TZVPD basis.

XYZ file:
```
14
Properties=species:S:1:pos:R:3
C -1.00 -1.12 0.38
O 0.04 -1.90 0.59
C -0.82 0.28 0.99
C 0.53 0.87 0.59
H -1.28 -0.95 -0.71
H -1.99 -1.46 0.82
H -1.67 0.93 0.78
H -0.79 0.08 2.07
H 1.09 0.18 -0.04
H 0.50 1.84 0.09
H 1.18 1.00 1.46
H 2.15 0.07 -2.06
H 0.63 -0.08 -2.27
O 1.44 0.27 -2.68
```

The calculation puts the HOMO energy at -2.404 eV. The energy above the lowest of the compared OMol25 structures with the same formula, charge and spin comes out at 0.749 eV. The spin multiplicity is 1. As for the total energy: -270.1582 Eh. The net charge is -1. As for the frontier orbital gap: 6.66 eV.

Entry 2:
A 2-piece molecular cluster, CH2N2OS overall at a distorted geometry. Source: the OMol25 dataset; level of theory: the ωB97M-V functional and the def2-TZVPD basis.

XYZ file:
```
7
Properties=species:S:1:pos:R:3
C -3.15 -0.14 -0.08
N 0.10 -0.50 -0.05
N -2.13 -0.63 -0.34
O 0.30 0.79 0.12
S -4.68 0.31 0.01
H 0.25 0.89 1.14
H -0.15 -0.78 -0.98
```

The calculation puts the HOMO energy (spin up / spin down) at -8.351 / -8.349 eV. The energy above the lowest of the compared OMol25 structures with the same formula, charge and spin comes out at 3.515 eV. The spin multiplicity is 1. As for the total energy: -622.0485 Eh. As for the frontier orbital gap (spin up / spin down): 5.38 / 5.37 eV.

Copy entry 2 word for word.
A 2-piece molecular cluster, CH2N2OS overall at a distorted geometry. Source: the OMol25 dataset; level of theory: the ωB97M-V functional and the def2-TZVPD basis.

XYZ file:
```
7
Properties=species:S:1:pos:R:3
C -3.15 -0.14 -0.08
N 0.10 -0.50 -0.05
N -2.13 -0.63 -0.34
O 0.30 0.79 0.12
S -4.68 0.31 0.01
H 0.25 0.89 1.14
H -0.15 -0.78 -0.98
```

The calculation puts the HOMO energy (spin up / spin down) at -8.351 / -8.349 eV. The energy above the lowest of the compared OMol25 structures with the same formula, charge and spin comes out at 3.515 eV. The spin multiplicity is 1. As for the total energy: -622.0485 Eh. As for the frontier orbital gap (spin up / spin down): 5.38 / 5.37 eV.
~~~
(Here the article continues)

+++
Entry from the OMol25 dataset: a molecular structure, C13H12LuN4OS2Se (ωB97M-V with the def2-TZVPD basis set).

Properties
charge = +1
frontier orbital gap = 7.21 eV
multiplicity = 1
ΔE to the lowest compared entry with this formula, charge and spin = 3.3 kcal per mole
HOMO energy = -10.77 eV
strongest force on any atom = 3.4 eV Å⁻¹

Positions of all 34 atoms, in Å:
1 Lu 11.183 4.089 7.674
2 N 14.193 4.519 9.645
3 C 14.471 4.232 8.330
4 C 15.761 3.846 7.892
5 C 16.037 3.690 6.543
6 C 15.080 4.215 5.587
7 C 13.831 4.443 6.109
8 N 13.506 4.334 7.416
9 C 13.074 4.234 10.475
10 C 13.333 4.275 11.908
11 C 12.302 3.821 12.721
12 C 11.166 3.113 12.175
13 C 10.982 3.108 10.814
14 N 11.914 3.733 9.972
15 H 15.089 4.610 10.207
16 H 16.512 3.775 8.648
17 H 16.977 3.266 6.197
18 H 15.178 4.288 4.545
19 H 13.011 4.788 5.443
20 H 14.192 4.829 12.329
21 H 12.325 3.954 13.809
22 H 10.326 2.840 12.808
23 H 10.107 2.667 10.385
24 C 7.662 3.739 4.160
25 O 8.779 3.073 4.697
26 C 9.816 3.566 5.326
27 S 11.084 2.385 5.747
28 S 9.932 5.175 5.767
29 H 7.542 4.813 4.403
30 H 6.788 3.274 4.500
31 H 7.670 3.761 3.029
32 Se 6.457 3.724 8.577
33 C 8.166 3.444 8.673
34 N 9.367 3.508 8.620

----------

A structure of composition C33H77N11O11Rb, computed with wB97M-V/def2-TZVPD.

Values from the calculation:
* calculated total energy: -2757.66948 Eh
* M: 889.51 Da
* total charge: +1
* highest occupied orbital energy: -10.557 eV
* 2S+1: 1

Each line ends with the Mulliken charge.
Geometry (Å):
Rb (0.472, -0.094, 0.973)  0.16
O (0.573, -5.456, -4.162)  -0.70
O (2.038, 0.872, -1.361)  -0.56
O (-0.905, 2.228, 0.090)  0.24
O (-0.141, 5.532, 4.971)  -0.67
O (2.195, -2.458, 1.448)  0.00
O (-2.265, -1.369, 0.537)  -0.01
O (-5.985, 2.087, -3.817)  -0.69
O (-1.166, 0.232, 3.400)  -0.21
O (5.259, 5.797, -0.438)  -0.67
O (-3.211, -1.784, -4.365)  -0.79
O (2.555, 0.465, 2.885)  -0.01
N (-0.904, 3.425, 4.498)  0.02
N (2.100, -4.738, 1.681)  -0.09
N (-4.344, 0.611, -3.506)  0.12
N (-4.382, -2.220, 0.482)  -0.04
N (-2.016, 4.215, -0.097)  -0.14
N (-1.589, -3.377, -4.319)  0.13
N (2.874, -5.622, -4.090)  -0.20
N (0.407, 1.190, -2.911)  0.12
N (3.828, 5.326, 1.304)  -0.05
N (4.687, 0.713, 2.145)  -0.07
N (-1.018, -1.803, 4.356)  -0.10
C (1.452, 1.576, -2.180)  0.68
C (-2.077, -2.228, -6.440)  -1.18
C (3.092, -6.756, -4.979)  -1.00
C (-5.108, -1.090, -0.100)  -0.29
C (4.239, -3.682, 1.511)  -1.35
C (-2.804, 2.508, 1.419)  -0.44
C (1.939, 2.942, -2.459)  -1.04
C (-1.782, -3.696, -2.895)  -1.15
C (0.687, -4.919, 1.719)  -0.49
C (-1.011, 4.814, -1.071)  -0.74
C (-2.669, -3.520, 1.479)  -0.88
C (4.761, 6.049, 0.699)  0.67
C (0.038, 4.371, 4.609)  0.42
C (-5.376, 1.085, -4.167)  0.83
C (-2.281, -2.410, -4.936)  0.67
C (-0.301, -0.103, -2.787)  -0.28
C (-1.848, 2.959, 0.355)  0.09
C (4.736, 0.093, 0.835)  -1.05
C (3.300, 4.066, 0.717)  -0.43
C (-5.895, 0.325, -5.410)  -0.92
C (5.172, 7.303, 1.469)  -1.04
C (-3.093, -2.255, 0.768)  0.22
C (-3.194, -0.828, 4.014)  -1.18
C (-2.277, 3.848, 4.685)  -1.06
+++
Roads: With an estimated 95% of the goods transported by road, Malaysia’s modern road infrastructure has won praises from foreign investors. The modern North-South Highway and the East-West Highway make it easy to travel by road to any destination in the country.
Bridge: Bridges are an important element in establishing communication links between towns and cities that are separated by difficult terrain or rivers. The role of bridges has been important in the economic and social development of Malaysia’s enabling transportation links in moving people and goods.
Dams: The country enjoys high rainfall as well as an extensive network of more than 150 rivers that are sources of water supply. Most Malaysian buildings are served by piped water.

Electricity: To promote renewable energy the Government initiated the Malaysia Building Integrated Photovoltaic (MPIPV) project in July 2005 to encourage renewable energy among the public and speed up development of a sustainable local market.
Telecommunication: The National Telecommunication Policy boosted the growth of telecommunication technology and services to support the nation’s development. A multi0million ringgit high speed broadband infrastructure project focusing on the Klang Valley and the Iskandar Development Region would be implemented over the next 10 years.
Information Technology: Both the rapid development of the telecommunication infrastructure and the expansion of the electronics industry have ushered in the Information Technology era in Malaysia. The ambitious Multimedia Super Corridor has further the growth of the Information Computer Technology (ICT).